Contents =
____________
Entry w
This record from OMol25 describes the molecule C3H2N2O. The level of theory is the ωB97M-V functional and the def2-TZVPD basis.

Atoms and positions in Å:
C -0.467 0.032 -0.611
C 1.118 -0.620 0.717
C 0.372 0.576 1.302
H 1.961 -1.128 1.146
H 0.491 1.027 2.283
N 0.609 -0.956 -0.389
N -0.485 1.025 0.487
O -1.182 -0.039 -1.571

Properties
LUMO energy	-1.494	eV
HOMO	-10.8961	eV
Kohn-Sham gap	9.402	eV
SMILES	O=C1N=CC=N1

Results of the Löwdin charge analysis, in e, for atoms 1 through 5: -0.45, -0.10, -0.10, 0.10, 0.11

***

Entry x
This record from OMol25 describes the molecule C3H2N2O. The level of theory is the ωB97M-V functional and the def2-TZVPD basis.

Atoms and positions in Å:
C 0.099 -0.631 0.680
C -1.057 -0.157 0.253
C 1.084 0.219 0.059
N 1.257 -1.124 -0.085
N -1.721 0.834 0.222
O 1.694 1.256 -0.160
H 1.300 -1.598 -0.998
H -2.656 1.201 0.030

Properties
LUMO energy	-0.640	eV
HOMO	-8.5062	eV
Kohn-Sham gap	7.867	eV
SMILES	N=C=C1NC1=O

Results of the Löwdin charge analysis, in e, for atoms 1 through 5: -0.13, -0.12, -0.46, 0.12, 0.23

***

Short version: entry x is the least stable of them.

***

Entry w
This record from OMol25 describes the molecule C3H2N2O. The level of theory is the ωB97M-V functional and the def2-TZVPD basis.

Atoms and positions in Å:
O 0.726 -1.142 0.519
C 0.200 -0.141 -0.387
C -1.259 -0.098 -0.699
N -2.379 -0.045 -0.976
C 0.649 1.013 0.370
N 1.069 1.763 1.134
H 0.291 -1.120 1.395
H 0.709 -0.229 -1.366

Properties
LUMO energy	0.223	eV
HOMO	-12.0470	eV
Kohn-Sham gap	12.270	eV
SMILES	N#CC(O)C#N

Results of the Löwdin charge analysis, in e, for atoms 1 through 5: -0.01, -0.32, -0.14, 0.18, -0.19

***

Entry x
This record from OMol25 describes a cluster of 2 separate species, C3H2N2O in total. The level of theory is the ωB97M-V functional and the def2-TZVPD basis.

Atoms and positions in Å:
C -1.409 0.209 1.389
C 0.342 -0.714 -0.968
C -0.084 0.464 -0.265
N -2.031 0.028 2.325
N 1.194 -0.120 -0.087
O 0.202 -1.605 -1.729
H -0.330 1.459 -0.581
H 2.116 0.278 -0.085

Properties
LUMO energy	-0.789	eV
HOMO	-11.0246	eV
Kohn-Sham gap	10.236	eV

Results of the Löwdin charge analysis, in e, for atoms 1 through 5: -0.15, -0.46, 0.00, -0.01, 0.19
____________

Assignment =
Your job: search the notes above for the word "record" and repeat each line that has it.

Outcome =
This record from OMol25 describes the molecule C3H2N2O. The level of theory is the ωB97M-V functional and the def2-TZVPD basis.
This record from OMol25 describes the molecule C3H2N2O. The level of theory is the ωB97M-V functional and the def2-TZVPD basis.
This record from OMol25 describes the molecule C3H2N2O. The level of theory is the ωB97M-V functional and the def2-TZVPD basis.
This record from OMol25 describes a cluster of 2 separate species, C3H2N2O in total. The level of theory is the ωB97M-V functional and the def2-TZVPD basis.